Trump has put the generals in charge with predictable consequences

UN war crimes investigators accused the US and allied Kurdish-dominated DemocraticForces of being responsible for a 'staggering loss of civilian life' in the battle for Raqqa

A woman holds her injured child at a camp for people displaced from fighting in the Islamic State stronghold of Raqqa, in Ain Issa, Syria June 14, 2017. REUTERS/Goran Tomasevic

By granting free rein to the Pentagon and commanders in Syria, Iraq and Afghanistan, US commander-in-chief Donald Trump has ceded civilian control over his generals, stoking military escalations in all three theatres of war.

As a teenager, Trump attended a military academy which, he boasted, provided him with “more training militarily than a lot of guys that go into the military,” but, when called upon to perform, he may well have found he does not know enough about soldiering to command.

Even before handing over, Trump had allowed US involvement in these wars to deepen through the deployment of increasing numbers of boots-on-the-ground. By contrast Trump's predecessor Barack Obama, who sought to run-down US military entanglements, kept a tight rein on the Pentagon.

In April, Trump briefly enjoyed playing commander-in-chief. On the first occasion, over a dessert of chocolate cake with visiting Chinese leader Xi Jinping, Trump ordered a cruise missile strike on a Syrian air base near the city of Homs. The strike was intended to respond to a gas attack blamed on Syrian aircraft on a town in al-Qaeda-held Idlib province. A week later, Trump ordered the largest non-nuclear device in the Us arsenal, the "mother of all bombs," to be dropped on an Islamic State site in eastern Afghanistan. Both actions were said to be "one offs" but were followed by escalation.


The loosening of constraints on the military coincided with intensification of the US-led air campaign in support of US-allied ground forces fighting Islamic state. Air strikes have killed of hundreds of civilians in Mosul in Iraq and Raqqa in Syria.

US bombs slew more than 100 people in a single strike in Mosul in March and up to 80 civilians last month in the Zinjili district of the city. These were not isolated incidents. UN high commissioner for human rights Zeid bin Ra’ad al-Hussein called on the US-led coalition to “ensure that their operations comply fully with international humani- tarian law and that all possible measures are taken to avoid the loss of civilian lives.”

UN war crimes investigators accused the US and allied Kurdish-dominated DemocraticForces of being responsible for a “staggering loss of civilian life” in the battle for Raqqa and for the flight of at least 160,000 civilians. Human Rights Watch condemned the US introduction into the Syrian conflict of white phosphorus, banned under international law except outside populated areas against concentrations of troops and tanks. The Inter-national Committee of the Red Cross urged those striking urban targets to choose carefully and strike with precision weapons as 70 per cent of all civilian deaths in Syria and Iraq have occurred in Cities.

In its report on the first 1,000 days of US-coalition action, the Syrian Network for Human Rights said 1,256 civilians were killed in the Syrian campaign against Islamic State. On June 18th UK-based Airwars, which monitors US-coalition strikes, put the death toll at 3,962 in Syria and Iraq since the air campaign began in August 2014. These figures are many times greater that official US tolls.

"Mission creep," justified by alleged challenges from pro-Syrian government forces, is also taking place. After conducting air strikes against Damascus-allied militias in the area in early June, the US deployed troops and truck-mounted missile launchers at al-Tanf base in Syria, placing Damascus within range of these weapons. The US has also shot down two Iranian drones, claiming they were threatening US allies, but stoking tensions.

Although Washington has said, repeatedly, its only goal in Syria is to defeat Islamic State, the occupation of Raqqa and northeaster Syria by US-supported Democratic Forces and al- Tanf base could establish US zones of control once the battle against the radicals has ended.

This strategy would challenge the presence in Syria of Russia and Iran, Damascus main allies. Last Sunday's downing near Raqqa of a Syrian bomber by a US fighter jet prompted Russia to warn US and allied aircraft may be targeted while in Syrian airspace west of the Euphrates River. Shooting down aircraft would pit Trump's assertive generals against Russian and Iranian counterparts.

Once Islamic State is defeated, the Pentagon intends to maintain a strong troop presence in Iraq. Defence secretary James Mattis has announced the dispatch of 4,000 troops to Afghanistan to reinforce 8,400 already officially there and 2,000 unofficially deployed. More could follow as no ceiling has been set.

### What comes next are data records, not part of the piece
+++
This entry pairs a crystal structure of SmDy3Pb2 with its calculated X-ray powder pattern. Radiation: a wavelength of 1.5418 Å. Structure: a DFT-relaxed cell (GGA-PBE, Alexandria).

Largest 8 diffraction maxima, most intense first, 5° ≤ 2θ ≤ 70°:
(1 1 2), 34.7 deg, rel. 100; (1 1 1), 29.5 deg, rel. 81; (2 0 0), 39.4 deg, rel. 60; (2 0 3), 51.0 deg, rel. 42; (0 0 3), 31.0 deg, rel. 42; (2 2 0), 57.0 deg, rel. 29; (3 1 2), 68.5 deg, rel. 28; (1 1 0), 27.6 deg, rel. 25

Structure:
abc: 4.5700 4.5700 8.6435
angles: 90.00 90.00 90.00
Space group P-4m2 (No. 115)
Symmetry-distinct sites (fractional):
Sm 0.0000 0.0000 0.0000
Dy 0.0000 0.5000 0.3432
Dy 0.5000 0.5000 0.0000
Pb 0.0000 0.5000 0.7122

=====

This entry pairs a crystal structure of Sm3DyGa with its calculated X-ray powder pattern. Radiation: a wavelength of 1.5418 Å. Structure: a DFT-relaxed cell (GGA-PBE, Alexandria).

Largest 8 diffraction maxima, most intense first, 5° ≤ 2θ ≤ 70°:
(0 0 2), 30.2 deg, rel. 100; (4 0 -1), 31.6 deg, rel. 63; (2 2 1), 37.4 deg, rel. 39; (2 2 0), 27.7 deg, rel. 37; (4 0 -3), 36.0 deg, rel. 31; (6 2 -3), 50.4 deg, rel. 19; (2 2 -1), 24.7 deg, rel. 18; (4 0 1), 51.5 deg, rel. 17

Structure:
abc: 11.9937 9.0995 7.7911
angles: 90.00 130.47 90.00
Space group C2/m (No. 12)
Symmetry-distinct sites (fractional):
Sm 0.0575 0.0000 0.3343
Sm 0.2272 0.3101 0.7613
Dy 0.0626 0.5000 0.2652
Ga 0.2464 0.5000 0.1208

=====

This entry pairs a crystal structure of Ti23Pb6 with its calculated X-ray powder pattern. Radiation: a wavelength of 1.5418 Å. Structure: a DFT-relaxed cell (GGA-PBE, Alexandria).

Largest 8 diffraction maxima, most intense first, 5° ≤ 2θ ≤ 70°:
(4 4 0), 38.8 deg, rel. 100; (2 2 2), 23.5 deg, rel. 52; (3 3 3), 35.6 deg, rel. 50; (4 0 0), 27.2 deg, rel. 30; (4 2 2), 33.5 deg, rel. 27; (7 3 1), 53.7 deg, rel. 19; (2 2 0), 19.1 deg, rel. 16; (4 2 0), 30.5 deg, rel. 15

Structure:
abc: 13.1130 13.1130 13.1130
angles: 90.00 90.00 90.00
Space group Fm-3m (No. 225)
Symmetry-distinct sites (fractional):
Ti 0.0000 0.0000 0.0000
Ti 0.0000 0.2500 0.2500
Ti 0.1207 0.1207 0.1207
Ti 0.1668 0.1668 0.3332
Pb 0.0000 0.0000 0.2773

=====

This entry pairs a crystal structure of NiPPt2 with its calculated X-ray powder pattern. Radiation: a wavelength of 1.5418 Å. Structure: a DFT-relaxed cell (GGA-PBE, Alexandria).

Largest 8 diffraction maxima, most intense first, 5° ≤ 2θ ≤ 70°:
(2 2 2), 41.0 deg, rel. 100; (2 0 2), 33.1 deg, rel. 65; (1 3 1), 39.4 deg, rel. 39; (0 2 0), 23.5 deg, rel. 34; (0 0 4), 46.6 deg, rel. 28; (3 1 1), 39.6 deg, rel. 17; (1 3 3), 52.0 deg, rel. 17; (4 0 0), 48.4 deg, rel. 16

Structure:
abc: 7.5191 7.5685 7.7965
angles: 90.00 90.00 90.00
Space group Fmmm (No. 69)
Symmetry-distinct sites (fractional):
Ni 0.1666 0.0000 0.0000
P 0.0000 0.0000 0.2398
Pt 0.0000 0.1786 0.5000
Pt 0.2500 0.2500 0.2500

=====
+++

A former Marine Corps general and head of Central Command responsible for US opera-tions in the Middle East, Mattis, known as "Mad Dog," has advised troops, "Be polite, be professional, but have a plan to kill everybody you meet." Trump has, so far, failed to check Mattis' escalations. Putting military men in charge is reckless. They not only ignore civilian deaths but also rely on military force to resolve all manner of problems.

Michael Jansen is based in Cyprus and writes on the Middle East for the The Irish Times